Yesterday I took my boots to be resoled. Found a lovely, old-timey shop run by an tiny elderly man in an apron, with wire rimmed glasses and handsomely calloused hands…he couldn’t have looked more like a cobbler elf if he tried. The shop certainly bore up to the comparison. There were stacks of shoes everywhere, and colonial-era looking machines for stitching leather, or, I don’t know, making horseshoes or something? Ahead of me was a young woman carrying four pairs of boots with run-down heels. After looking them over, the gentleman handed her a claim ticket and told her that she could pick up her boots in two weeks.
I should mention that there were huge signs in multiple places informing folks of this fact. There were shoes stacked knee-high against every wall. There were literally seven people behind me in line and this gal ever so sweetly looked at him and asked, “Actually, I leave for Europe on Friday. Could I pick them up on Thursday?”
Folks. It was Tuesday.
Imagine a movie. The set goes quiet, and I, the extra in the background, snaps her fingers and utters her one line, an slow and exaggerated, “Guuuuuurl, no she didn’t!” And then settles in and waits for this ridiculous request to get satisfactorily shot down.
“Okay.” He said.
At the risk of sounding geriatric, this is exactly what’s wrong with the world today. Or maybe forever. Loads of us wait patiently in lines, do not swear at the person on the other end of our customer service call, follow the arrows pointing the proper direction in parking lots, and why? Because to do so staves off just a little bit of the chaos in the world and ensures the slightest sliver of fairness –of JUSTICE!– in the random, dark Universe. These are small, and, yes, sometimes seemingly meaningless gestures that say, “I am important but so are you.”
Then there are those for whom the rules do not apply. Those who are traipsing off to Europe and thus need their shoes in two days. TWO. DAYS. That’s akin to waiting 45 minutes for a restaurant seating and watching as the hostess’s brother-in-law and his dippy friends commandeer the table that was meant for you. Do you know why it takes two weeks to get your boots resoled? Because people keep scooting ahead of you in line, that’s why. And, in any case, if you are taking FOUR pairs of boots to Europe, you are not packing correctly.
Here the article breaks off for calculated crystals:
____________
This entry pairs a crystal structure of HfMg6Cu with its calculated powder XRD pattern. Radiation: Cu Kα. Structure: a crystal structure in the Materials Project, relaxed with GGA-PBE.
Lines closer than 0.1° are merged.

```
data_HfMg6Cu
_space_group_name_H-M_alt 'A m m 2'
_space_group_IT_number 38
_cell_length_a 4.906
_cell_length_b 5.938
_cell_length_c 11.370
_cell_angle_alpha 90.00
_cell_angle_beta 90.00
_cell_angle_gamma 90.00
loop_
_space_group_symop_operation_xyz
'x,y,z'
'-x,-y,z'
'-x,y,z'
'x,-y,z'
'x,y+1/2,z+1/2'
'-x,-y+1/2,z+1/2'
'-x,y+1/2,z+1/2'
'x,-y+1/2,z+1/2'
loop_
_atom_site_label
_atom_site_fract_x
_atom_site_fract_y
_atom_site_fract_z
Hf1 0.000 0.000 0.000
Mg1 0.000 0.249 0.248
Mg2 0.500 0.000 0.152
Mg3 0.500 0.000 0.628
Mg4 0.500 0.249 0.900
Cu1 0.000 0.000 0.471
```

Principal peaks in the range 10° ≤ 2θ ≤ 90°, low angle first:
two_theta, I_rel
15.59, 71
16.84, 35
18.08, 49
23.96, 46
24.81, 31
34.07, 43
36.57, 100
38.83, 92
50.88, 27
74.70, 23

* * * * *

[1]
For Sr4SnPbO8, a GGA-PBE-relaxed structure gives the simulated powder X-ray diffraction pattern in this record (Cu Kα).
Neutral-atom scattering factors, no anomalous dispersion.

a b c (Å): 4.210 4.210 12.713
angles (deg): 90.00 90.00 90.00
Positions (direct):
Sr1 0.000 0.000 0.142
Sr2 0.000 0.000 0.858
Sr3 0.500 0.500 0.351
Sr4 0.500 0.500 0.649
Sn1 0.500 0.500 0.000
Pb1 0.000 0.000 0.500
O1 0.000 0.000 0.328
O2 0.000 0.000 0.672
O3 0.000 0.500 0.000
O4 0.000 0.500 0.500
O5 0.500 0.000 0.000
O6 0.500 0.000 0.500
O7 0.500 0.500 0.162
O8 0.500 0.500 0.838

Most intense lines, 2θ from 10° to 80°, by angle:
6.357 Å, I = 192
2.983 Å, I = 1000
2.176 Å, I = 126
2.119 Å, I = 81
2.105 Å, I = 213
1.726 Å, I = 116
1.721 Å, I = 250
1.513 Å, I = 77
1.493 Å, I = 101
1.332 Å, I = 127

[2]
For TlSnPbO6, a GGA-PBE-relaxed structure gives the simulated powder X-ray diffraction pattern in this record (Cu Kα).
Neutral-atom scattering factors, no anomalous dispersion.

a b c (Å): 5.025 5.025 10.231
angles (deg): 90.00 90.00 90.00
Positions (direct):
Tl1 0.000 0.000 0.000
Tl2 0.500 0.500 0.500
Sn1 0.000 0.000 0.334
Sn2 0.500 0.500 0.834
Pb1 0.000 0.000 0.666
Pb2 0.500 0.500 0.166
O1 0.185 0.185 0.493
O2 0.191 0.191 0.178
O3 0.204 0.204 0.828
O4 0.296 0.704 0.328
O5 0.309 0.691 0.678
O6 0.315 0.685 0.993
O7 0.685 0.315 0.993
O8 0.691 0.309 0.678
O9 0.704 0.296 0.328
O10 0.796 0.796 0.828
O11 0.809 0.809 0.178
O12 0.815 0.815 0.493

Most intense lines, 2θ from 10° to 80°, by angle:
3.553 Å, I = 1000
2.822 Å, I = 918
2.512 Å, I = 284
1.876 Å, I = 720
1.777 Å, I = 167
1.589 Å, I = 178
1.537 Å, I = 182
1.503 Å, I = 207
1.411 Å, I = 108
1.290 Å, I = 168

[3]
For Sr2PbO3, a GGA-PBE-relaxed structure gives the simulated powder X-ray diffraction pattern in this record (Cu Kα).
Neutral-atom scattering factors, no anomalous dispersion.

a b c (Å): 6.405 6.405 6.405
angles (deg): 146.44 132.08 59.77
Positions (direct):
Sr1 0.165 0.165 0.000
Sr2 0.835 0.835 0.000
Pb1 0.500 0.500 0.000
O1 0.000 0.500 0.500
____________
I watched her leave, this woman who is now my sworn enemy, and stepped to the front of the line. I surrendered my one pair of boots. Not just any boots, my favorite boots. The ones that go with everything I own and that I wear at least five times a week, November through April. Losing them cut my wardrobe exactly in half; political-induced weight gain has severely cut into the remainder. Look for my Christmas photos to feature me, in a caftan and flip-flops.
“Two weeks,” said the shoemaker elf.
“Fine,” I said, which made me either a Defender of Justice, or the world’s biggest dope. I am not sure anymore. In a world of line-cutters, zipper merges, cheats and colluders, what is a girl to do?
But then I think, what if I don’t? What if nobody does? What if every place, every day starts to look like Walmart on a Black Friday morning? Perish the thought. There are those of us who must hold the line of order and civility. You will know us by our tendency to wave strangers ahead in the concession line, to refrain from using the speaker phone feature on public transportation, and to never, not ever, abuse the “10 items or fewer” express checkout. Curiously, at least one of us will be wearing fuzzy house slippers— at least for the next two weeks.
Wow! Who is the noble cobbler? Mine took six weeks to repair the strap on my bag that I carry every day.
I am aware that your cobbler didn’t say that they would be ready in two days, he just agreed that she could pick them up. I am delighting myself with the fantasy of her coming in to get her eight unrepaired boots and stamping her tiny foot while said cobbler merely swings his awl to point to the wall — Ready in Two Weeks.